Managing Your Community Managers: Lead Management

Lead Management Tips

Managing Your Managers Part Two- Lead Management

MHVillage has been a part of this industry long enough to know what consumers have come to expect when buying a home or moving into a community. If your company manages multiple communities, this article will help you manage your managers with respect to lead management practices.

As the industry continues to grow we continue to see professionals from other industries join us. We also see more companies acquiring multiple communities and adding to their portfolios. These situations combined can provide obstacles when it comes to streamlining the management of the managers at each property.

This article is the second in a three-part series that focuses on managing your community managers. (Check out part one focused on Marketing).

Why Lead Management is Important

According to Forbes, on average businesses waste 71 percent of their leads with only 27 percent of leads ever getting contacted and 35 to 65 percent never getting called at all.

(See the full article on “Why Companies Waste Their Internet Leads”)

Effective and efficient lead management is a key element when it comes to closing a sale of a home in a community or securing a valuable long-term resident. The more properties you have in your portfolio the more necessary a lead management strategy.

How and when is your next resident shopping?

Knowing how and when your customers are shopping are important details. This information helps refine your advertising, keeps your lead response time as short as possible and just, in general, better prepare your managers for the job at hand.

Some areas, depending on location, tend to get a lot of foot traffic, specifically on the weekend, while others might see a ton of website traffic and during the work week. To gather this information start with reviewing your website and online advertisements traffic. As for foot traffic, try extending your office hours 1 or 2 days of the week.

Fun Fact: The heaviest traffic on MHVillage’s mobile site is on Sundays, peaking at 8:00PM

Be prepared when your audience calls

Your managers need to have all of the information available and ready to give potential residents. Whether this is current digital PDFs with information that is easy to print or a sleek website to refer to that has accurate costs and contracts available. Having the necessary paperwork on hand and readily available shows your potential resident that you value their time and your community is organized and supportive.

/*
## A
Li3SbO3 after structural relaxation. Source: Materials Project, functional PBE.

a b c (Å): 7.5463 7.5463 7.5463
angles (deg): 109.47 109.47 109.47
Sites, in units of the cell vectors:
Li 0.5343 0.2892 0.0000
Li 0.5343 0.0000 0.2892
Li 0.7549 0.4657 0.4657
Li 0.2892 0.0000 0.5343
Li 0.2892 0.5343 0.0000
Li 0.7108 0.2451 0.7108
Li 0.7108 0.7108 0.2451
Li 0.4657 0.7549 0.4657
Li 0.4657 0.4657 0.7549
Li 0.0000 0.5343 0.2892
Li 0.0000 0.2892 0.5343
Li 0.2451 0.7108 0.7108
Sb 0.7185 0.0000 0.0000
Sb 0.2815 0.2815 0.2815
Sb 0.0000 0.7185 0.0000
Sb 0.0000 0.0000 0.7185
O 0.7427 0.2378 0.2378
O 0.7622 0.5049 0.0000
O 0.7622 0.0000 0.5049
O 0.4951 0.4951 0.2573
O 0.5049 0.7622 0.0000
O 0.4951 0.2573 0.4951
O 0.5049 0.0000 0.7622
O 0.2573 0.4951 0.4951
O 0.2378 0.2378 0.7427
O 0.2378 0.7427 0.2378
O 0.0000 0.5049 0.7622
O 0.0000 0.7622 0.5049

Properties
- piezoelectric modulus e_max (C/m²) = 0.236

## B
Li3SbO3 after structural relaxation. Source: Materials Project, functional PBE.

a b c (Å): 7.1634 7.1634 7.1634
angles (deg): 90.00 90.00 90.00
Sites, in units of the cell vectors:
Li 0.9689 0.9689 0.9689
Li 0.2609 0.2391 0.7609
Li 0.2405 0.7405 0.7595
Li 0.2595 0.2595 0.2595
Li 0.2391 0.7609 0.2609
Li 0.5311 0.0311 0.4689
Li 0.4689 0.5311 0.0311
Li 0.7609 0.2609 0.2391
Li 0.7405 0.7595 0.2405
Li 0.7595 0.2405 0.7405
Li 0.7391 0.7391 0.7391
Li 0.0311 0.4689 0.5311
Sb 0.0231 0.9769 0.4769
Sb 0.4769 0.0231 0.9769
Sb 0.5231 0.5231 0.5231
Sb 0.9769 0.4769 0.0231
O 0.9944 0.2410 0.4013
O 0.0987 0.0056 0.7410
O 0.2410 0.4013 0.9944
O 0.2590 0.5987 0.4944
O 0.4013 0.9944 0.2410
O 0.5056 0.7590 0.9013
O 0.4944 0.2590 0.5987
O 0.5987 0.4944 0.2590
O 0.7410 0.0987 0.0056
O 0.7590 0.9013 0.5056
O 0.9013 0.5056 0.7590
O 0.0056 0.7410 0.0987

Properties
- magnetic moment (μB/cell) = 0.00

The least stable of them is B.

## A
SmU2Se5 after structural relaxation. Source: Materials Project, functional PBE.

a b c (Å): 7.7746 8.3027 12.3191
angles (deg): 90.00 90.00 90.00
Sites, in units of the cell vectors:
Sm 0.0254 0.5024 0.8204
Sm 0.9746 0.0024 0.1796
Sm 0.5254 0.0024 0.6796
Sm 0.4746 0.5024 0.3204
U 0.5763 0.2485 0.9928
U 0.9237 0.2485 0.4928
U 0.4237 0.7485 0.0072
U 0.0763 0.7485 0.5072
U 0.4765 0.0002 0.3205
U 0.5235 0.5002 0.6795
U 0.9765 0.5002 0.1795
U 0.0235 0.0002 0.8205
Se 0.3357 0.0435 0.0989
Se 0.1705 0.4531 0.5962
Se 0.6643 0.5435 0.9011
Se 0.8295 0.9531 0.4038
Se 0.6705 0.9531 0.9038
Se 0.8357 0.5435 0.4011
Se 0.3295 0.4531 0.0962
Se 0.1643 0.0435 0.5989
Se 0.9610 0.2514 0.9999
Se 0.5390 0.2514 0.4999
Se 0.0390 0.7514 0.0001
Se 0.4610 0.7514 0.5001
Se 0.3304 0.2502 0.8138
Se 0.1696 0.2502 0.3138
Se 0.6696 0.7502 0.1862
Se 0.8304 0.7502 0.6862
Se 0.6965 0.2507 0.2173
Se 0.8035 0.2507 0.7173
Se 0.3035 0.7507 0.7827
Se 0.1965 0.7507 0.2827

## B
SmU2Se5 after structural relaxation. Source: Materials Project, functional PBE.

a b c (Å): 7.8065 8.2533 12.4425
angles (deg): 90.00 90.00 90.00
Sites, in units of the cell vectors:
Sm 0.9187 0.7500 0.9944
*/

Response time is everything

A large part of your plan for managing your managers should focus on the importance of response time. The closer your manager’s response can get to the 5-minute mark, the more likely they are to qualify and eventually convert a lead to a resident. There have multiple studies and research that has shown the age old “early bird gets the worm” adage remains a thriving bit of advice.

Most of us know the 5-minute mark has been proven to be 50 percent more likely to close a sale. Lately, we are getting closer to a 2 to 3-minute mark if possible. With the fast pace of our world consumers, in general, are getting more accustomed to instant gratification and instant response times. Making sure your managers plan and are supported to achieve satisfaction in this area.

MHVillage offers the MHVFastLead which you can set up within your account. This feature allows you to receive a text notification from our website whenever we send you a lead. (Note the lead itself will still be sent to the email on the listing, this notification just lets you know we sent it!). This feature is also free and included in every account!

Lead ManagementTo set this up, simply log into your account and head to the “Update Account Information” page. The details and timeframe options are all listing there towards the bottom of the page.


How do your managers keep up?

A strategic plan and established system in place provide your team with support and tools to effectively meet the above goals.

“70 percent of the buyer’s journey is completed before they even get in touch with a sales rep”

Companies with multiple properties often establish a system where they categorize their leads by importance and reply in order. Another option would divide the different lead types and send them to different departments or sales reps in an effort to maintain the quick response time needed.

MHVillage sends the leads via email directly and in real time, but we also store them within the account. The lead section in the account also has the option to download them in spreadsheet form. This option lets you manage all of the leads generated from MHV in a convenient and easy to manage spreadsheet.

The art of following up

Following up is crucial in showing your potential residents that you care about them. Typically, a follow up via email can be the most effective. This is the case as long as you provide them with the information they need. Not only can an email follow up be convenient and faster it also provides a paper trail.

A good follow up email will contain the following key details:

  • Customer’s Name
  • Details about the home(s)
  • Additional home options that might be similar
  • Your direct contact information

Another tip would be to offer a time-sensitive incentive for the customer that would encourage them to reply sooner!

Hopefully, this information can help you and your team effectively manage the leads you receive your multiple properties.

If you have any additional questions about MHVillage and the lead management options we offer on our site, be sure and contact our customer service.